The Glaum Egg Ranch legacy stretches back to the early 1920s, when John H. Glaum built a chicken house — housing 400 white leghorns — in Alexandria, Nebraska.

The family went West in the 1940s, eventually opening up an egg ranch in Santa Cruz County under the guidance of John’s son, Marvin.

The family business is now in its fourth generation of egg farmers, with Mikayla Glaum-Godoy and her brothers Gunnar and Gavin Glaum running the daily operations at the barn store and processing room in Aptos and the actual farm in Watsonville.

Q: How does it feel to be the fourth generation of Glaum egg farmers?

Mikayla: It feels pretty good. We’re all in our 20s, and there is a huge legacy we are really trying to make proud. But times are changing with the environment (and) with consumer buying. There is a lot of room for us to diversify this business. So it’s really exciting to be a part of the movement going forward.

Gunnar: I think it’s unique and special. You don’t really come across a lot of farms that have that much history. It’s something we want to preserve and continue the legacy.

Q: What are some of the best aspects of working with family members?

Mikayla: There’s nobody that you will trust more with the things that you hold near and dear.

Q: What happens in the processing area in Aptos?

Gavin: We receive the eggs from our Watsonville ranch. They get put on a conveyor belt, go through our washing machine, get weighed and sized, put in the flats or cartons in the cold room and then get distributed to customers or distributors.

Q: How do you care for the 120,000 chickens on the Watsonville ranch?

Here the article breaks off for materials data:
=====
Density functional theory data (meta-GGA r2SCAN) for a geometry-optimized MgCoGe structure.

Unit cell a=3.8597 b=3.8597 c=6.1075 alpha=90.00 beta=90.00 gamma=90.00
Fractional positions:
Ge: 0.7500 0.7500 0.7756
Co: 0.7500 0.2500 0.0000
Mg: 0.2500 0.2500 0.6826
Ge: 0.2500 0.2500 0.2244
Mg: 0.7500 0.7500 0.3174
Co: 0.2500 0.7500 0.0000

Calculated formation energy (eV per atom): -0.22
M_tot (μB per cell): 0.0
=====

Gunnar: It’s really just making sure they have everything they need — food, water — and making sure the equipment is running right. Just checking in every day.

Q: Why should consumers care that eggs are produced in a cage-free environment?

MIikayla: It’s the humane treatment of the bird. The bird is able to exhibit all of its natural behaviors, right? It’s able to flap its wings. They are not inside cages. They are able to roam around the barn as they please and eat and drink whenever they want.

Q: Can you tell us about the famous vending machine?

Mikayla: My grandfather wanted to be able to offer eggs after hours, so he created this egg vending machine. It has changed its structure over the years. At first, it was a little door that would pull down and a help-yourself honor system: You would take your flat (of eggs) and put your money in a little can.

This edition that we have right now is basically a shelf full of eggs. Customers put $4 into the vending machine — either during regular hours or after hours — and the flat of freshly laid eggs will come right out (as) this little animatronic dancing chicken show goes on.

Q: And that’s the best part!

Mikayla: That’s what brings customers in. That’s what brings all the kids in. College kids come back into town to show their friends what they grew up on — the weird part of Santa Cruz (where you) get your eggs with a dancing chicken show.

Q: I hear the show has seasonal themes, too.

Mikayla: Our aunt Sherrie actually dresses the birds up every season — Christmas, Thanksgiving, Halloween and summertime on a Hawaiian vacation. She changes the costumes. It gives customers a reason to keep coming back to see what the costumes are.

Q: So, if I come back in December, I might see Santa Chicken?

Mikayla: Totally. And Mrs. Claus.

If you go

The Glaum Egg Ranch Barn Store is open from 8 a.m. to 4 p.m. on weekdays and until 2 p.m. on Saturdays at 3100 Valencia Road in Aptos. That’s also where you’ll find the famous egg vending machine, which costs $4 (in crisp dollar bills) to operate. Find details at